### Data
/*
For K2OsO5, a cell relaxed with GGA-PBE gives the theoretical powder diffraction line list in this record (Cu Kα (λ = 1.5418 Å)).
No peak broadening, texture or thermal motion is included.

Cell and atoms:
Cell lengths 10.9799, 10.9799, 8.3678 Å; angles 90.00, 90.00, 120.00 degrees
Space group P6_3/m (No. 176)
Asymmetric unit:
1 K 0.0000 0.0000 0.0000 x2
2 K 0.0437 0.3476 0.2500 x6
3 K 0.3333 0.6667 0.5173 x4
4 Os 0.0433 0.3596 0.7500 x6
5 O 0.0281 0.8311 0.2500 x6
6 O 0.1264 0.5519 0.7500 x6
7 O 0.1284 0.6589 0.2500 x6
8 O 0.1302 0.3703 0.5650 x12

Largest 12 diffraction maxima, by angle, 2θ from 10° to 90°:
2θ = 16.14°, d 5.490, rel. 23, (1 1 0)
2θ = 19.34°, d 4.590, rel. 100, (1 1 1)
2θ = 21.24°, d 4.184, rel. 33, (0 0 2)
2θ = 24.77°, d 3.594, rel. 20, (1 2 0)
2θ = 26.79°, d 3.328, rel. 46, (1 1 2)
2θ = 28.15°, d 3.170, rel. 47, (3 0 0)
2θ = 35.53°, d 2.526, rel. 21, (3 0 2)
2θ = 36.12°, d 2.487, rel. 16, (1 1 3)
2θ = 39.25°, d 2.295, rel. 21, (2 2 2)
2θ = 43.25°, d 2.092, rel. 10, (0 0 4)
2θ = 52.41°, d 1.746, rel. 16, (3 0 4)
2θ = 55.67°, d 1.651, rel. 11, (4 2 2)



For K2OsPb2O6, a cell relaxed with GGA-PBE gives the theoretical powder diffraction line list in this record (Cu Kα (λ = 1.5418 Å)).
No peak broadening, texture or thermal motion is included.

Cell and atoms:
Cell lengths 6.703, 10.896, 5.874 Å; angles 90.00, 103.87, 90.00 degrees
Space group C2/m (No. 12)
Asymmetric unit:
1 K 0.000 0.152 0.000 x4
2 Os 0.000 0.500 0.000 x2
3 Pb 0.000 0.342 0.500 x4
4 O 0.164 0.500 0.743 x4
5 O 0.168 0.375 0.181 x8

Largest 12 diffraction maxima, by angle, 2θ from 10° to 90°:
2θ = 15.86°, d 5.587, rel. 100, (1 1 0)
2θ = 22.57°, d 3.939, rel. 28, (0 2 1)
2θ = 27.41°, d 3.254, rel. 33, (2 0 0)
2θ = 30.61°, d 2.920, rel. 45, (1 3 -1)
2θ = 31.37°, d 2.851, rel. 22, (0 0 2)
2θ = 32.17°, d 2.782, rel. 15, (1 1 -2)
2θ = 33.91°, d 2.644, rel. 52, (1 3 1)
2θ = 36.58°, d 2.457, rel. 34, (2 0 -2)
2θ = 48.18°, d 1.889, rel. 17, (3 3 -1)
2θ = 53.20°, d 1.722, rel. 14, (1 3 -3)
2θ = 54.92°, d 1.672, rel. 12, (3 3 1)
2θ = 58.17°, d 1.586, rel. 13, (4 0 -2)



For KOsPb2O8, a cell relaxed with GGA-PBE gives the theoretical powder diffraction line list in this record (Cu Kα (λ = 1.5418 Å)).
No peak broadening, texture or thermal motion is included.

Cell and atoms:
Cell lengths 4.820, 5.244, 7.904 Å; angles 88.91, 86.04, 85.46 degrees
Space group P-1 (No. 2)
Asymmetric unit:
1 K 0.000 0.000 0.000 x1
2 Os 0.000 0.000 0.500 x1
3 Pb 0.478 0.511 0.280 x2
4 O 0.142 0.498 0.999 x2
5 O 0.184 0.157 0.660 x2
6 O 0.235 0.118 0.324 x2
7 O 0.251 0.690 0.519 x2

Largest 12 diffraction maxima, by angle, 2θ from 10° to 90°:
2θ = 11.22°, d 7.884, rel. 97, (0 0 1)
2θ = 24.19°, d 3.679, rel. 97, (1 1 0)
2θ = 26.17°, d 3.405, rel. 100, (1 -1 0)
2θ = 28.17°, d 3.168, rel. 56, (0 1 2)
2θ = 28.32°, d 3.151, rel. 72, (1 0 2)
2θ = 28.55°, d 3.127, rel. 53, (0 1 -2)
2θ = 30.31°, d 2.948, rel. 56, (1 0 -2)
2θ = 34.31°, d 2.613, rel. 45, (0 2 0)
2θ = 37.52°, d 2.397, rel. 24, (2 0 0)
2θ = 43.59°, d 2.076, rel. 24, (1 2 2)
2θ = 45.04°, d 2.013, rel. 23, (2 1 2)
2θ = 46.50°, d 1.953, rel. 21, (1 -2 2)



For KOs2PdO8, a cell relaxed with GGA-PBE gives the theoretical powder diffraction line list in this record (Cu Kα (λ = 1.5418 Å)).
No peak broadening, texture or thermal motion is included.

Cell and atoms:
Cell lengths 8.231, 6.607, 7.267 Å; angles 90.00, 109.32, 90.00 degrees
Space group C2/m (No. 12)
Asymmetric unit:
1 K 0.000 0.000 0.000 x2
2 Os 0.052 0.500 0.240 x4
3 Pd 0.000 0.000 0.500 x2
4 O 0.044 0.267 0.728 x8
5 O 0.157 0.500 0.056 x4
6 O 0.244 0.500 0.454 x4

Largest 12 diffraction maxima, by angle, 2θ from 10° to 90°:
2θ = 17.62°, d 5.033, rel. 70, (1 1 0)
2θ = 19.51°, d 4.549, rel. 63, (1 1 -1)
2θ = 22.90°, d 3.883, rel. 78, (2 0 0)
2θ = 26.99°, d 3.304, rel. 67, (0 2 0)
2θ = 28.18°, d 3.167, rel. 100, (1 1 -2)
2θ = 34.67°, d 2.587, rel. 65, (1 1 2)
2θ = 35.47°, d 2.531, rel. 29, (3 1 -1)
2θ = 35.68°, d 2.516, rel. 28, (2 2 0)
*/

### Brief
Please start at the top of the listing above and write out each line, ending with the one that has "34.31°,".

### Written answer
For K2OsO5, a cell relaxed with GGA-PBE gives the theoretical powder diffraction line list in this record (Cu Kα (λ = 1.5418 Å)).
No peak broadening, texture or thermal motion is included.

Cell and atoms:
Cell lengths 10.9799, 10.9799, 8.3678 Å; angles 90.00, 90.00, 120.00 degrees
Space group P6_3/m (No. 176)
Asymmetric unit:
1 K 0.0000 0.0000 0.0000 x2
2 K 0.0437 0.3476 0.2500 x6
3 K 0.3333 0.6667 0.5173 x4
4 Os 0.0433 0.3596 0.7500 x6
5 O 0.0281 0.8311 0.2500 x6
6 O 0.1264 0.5519 0.7500 x6
7 O 0.1284 0.6589 0.2500 x6
8 O 0.1302 0.3703 0.5650 x12

Largest 12 diffraction maxima, by angle, 2θ from 10° to 90°:
2θ = 16.14°, d 5.490, rel. 23, (1 1 0)
2θ = 19.34°, d 4.590, rel. 100, (1 1 1)
2θ = 21.24°, d 4.184, rel. 33, (0 0 2)
2θ = 24.77°, d 3.594, rel. 20, (1 2 0)
2θ = 26.79°, d 3.328, rel. 46, (1 1 2)
2θ = 28.15°, d 3.170, rel. 47, (3 0 0)
2θ = 35.53°, d 2.526, rel. 21, (3 0 2)
2θ = 36.12°, d 2.487, rel. 16, (1 1 3)
2θ = 39.25°, d 2.295, rel. 21, (2 2 2)
2θ = 43.25°, d 2.092, rel. 10, (0 0 4)
2θ = 52.41°, d 1.746, rel. 16, (3 0 4)
2θ = 55.67°, d 1.651, rel. 11, (4 2 2)



For K2OsPb2O6, a cell relaxed with GGA-PBE gives the theoretical powder diffraction line list in this record (Cu Kα (λ = 1.5418 Å)).
No peak broadening, texture or thermal motion is included.

Cell and atoms:
Cell lengths 6.703, 10.896, 5.874 Å; angles 90.00, 103.87, 90.00 degrees
Space group C2/m (No. 12)
Asymmetric unit:
1 K 0.000 0.152 0.000 x4
2 Os 0.000 0.500 0.000 x2
3 Pb 0.000 0.342 0.500 x4
4 O 0.164 0.500 0.743 x4
5 O 0.168 0.375 0.181 x8

Largest 12 diffraction maxima, by angle, 2θ from 10° to 90°:
2θ = 15.86°, d 5.587, rel. 100, (1 1 0)
2θ = 22.57°, d 3.939, rel. 28, (0 2 1)
2θ = 27.41°, d 3.254, rel. 33, (2 0 0)
2θ = 30.61°, d 2.920, rel. 45, (1 3 -1)
2θ = 31.37°, d 2.851, rel. 22, (0 0 2)
2θ = 32.17°, d 2.782, rel. 15, (1 1 -2)
2θ = 33.91°, d 2.644, rel. 52, (1 3 1)
2θ = 36.58°, d 2.457, rel. 34, (2 0 -2)
2θ = 48.18°, d 1.889, rel. 17, (3 3 -1)
2θ = 53.20°, d 1.722, rel. 14, (1 3 -3)
2θ = 54.92°, d 1.672, rel. 12, (3 3 1)
2θ = 58.17°, d 1.586, rel. 13, (4 0 -2)



For KOsPb2O8, a cell relaxed with GGA-PBE gives the theoretical powder diffraction line list in this record (Cu Kα (λ = 1.5418 Å)).
No peak broadening, texture or thermal motion is included.

Cell and atoms:
Cell lengths 4.820, 5.244, 7.904 Å; angles 88.91, 86.04, 85.46 degrees
Space group P-1 (No. 2)
Asymmetric unit:
1 K 0.000 0.000 0.000 x1
2 Os 0.000 0.000 0.500 x1
3 Pb 0.478 0.511 0.280 x2
4 O 0.142 0.498 0.999 x2
5 O 0.184 0.157 0.660 x2
6 O 0.235 0.118 0.324 x2
7 O 0.251 0.690 0.519 x2

Largest 12 diffraction maxima, by angle, 2θ from 10° to 90°:
2θ = 11.22°, d 7.884, rel. 97, (0 0 1)
2θ = 24.19°, d 3.679, rel. 97, (1 1 0)
2θ = 26.17°, d 3.405, rel. 100, (1 -1 0)
2θ = 28.17°, d 3.168, rel. 56, (0 1 2)
2θ = 28.32°, d 3.151, rel. 72, (1 0 2)
2θ = 28.55°, d 3.127, rel. 53, (0 1 -2)
2θ = 30.31°, d 2.948, rel. 56, (1 0 -2)
2θ = 34.31°, d 2.613, rel. 45, (0 2 0)